# Source
<<<
1.
Formula: C21H44Be2FLiNO10P2S2V
Source: the Open Molecules 2025 dataset
Level of theory: the ωB97M-V functional and the def2-TZVPD basis

Computed properties:
HOMO (Eh): -0.2541
Multiplicity: 1
LUMO energy (eV): -5.48
E (Ha): -4192.75306

The geometry in XYZ format:
```
85
Properties=species:S:1:pos:R:3:forces:R:3
C 0.1676 -2.7820 1.4849 0.4354 -0.6465 -0.5967
C -0.4941 -2.4455 0.1133 -0.3558 -0.2739 0.4081
C -1.6933 -1.4543 0.2026 -0.0325 -1.0536 -0.1024
C -2.5457 -1.5564 -1.1070 -0.2941 -0.1174 1.0254
N -2.4310 -0.4229 -2.0486 -0.0353 0.3827 0.8435
C -1.0889 0.1816 -2.0890 0.8854 0.6792 -1.0175
C -0.8618 1.0677 -3.3437 -0.4504 0.3184 0.4761
C 0.6028 1.5143 -3.4906 -0.3959 -0.6591 0.0941
C 1.5245 0.3857 -4.0983 0.4362 0.3847 0.3574
P 3.0174 0.3128 -3.0406 -2.5607 -1.4113 -0.1358
C 2.5113 -0.4344 -1.4287 0.5283 -0.2900 -0.1564
C 3.4107 -0.0154 -0.2345 0.0400 0.3896 0.4041
C 2.6160 1.0987 0.5013 0.4268 -0.7962 0.3470
C 3.4544 2.0531 1.3644 -0.4964 -1.6226 -0.1397
O 3.1659 3.1890 1.3880 -0.2173 2.3154 0.1139
O 4.4942 1.5469 2.1153 -0.2571 -0.1203 -1.2562
C 5.7275 2.2484 1.8448 1.4627 -0.5645 -0.0380
C 6.8153 1.2130 1.3643 -0.5331 0.4451 -0.0464
C -3.4716 0.4837 -1.9536 -1.0985 0.1705 0.3075
S -4.2667 1.0301 -3.3198 -0.1821 0.1888 -0.7402
S -4.0808 1.1096 -0.3821 0.2244 -0.9057 -0.5625
C -5.9129 0.9710 -0.6221 -0.0639 -1.0366 -0.2972
C -6.6834 1.0404 0.7177 0.2966 0.7328 -0.5966
C -6.6476 2.5068 1.2616 -0.3667 -1.2037 -0.2665
H 0.3184 -3.8823 1.5119 0.0130 0.6490 0.1562
H -0.4495 -2.5361 2.3664 0.2139 0.1486 -0.4787
H 1.1838 -2.3604 1.5980 -0.6808 0.0371 0.0725
H 0.2634 -2.1528 -0.6462 -0.4089 0.0176 0.5053
H -0.9166 -3.3999 -0.2731 0.2112 0.5529 0.1192
H -2.3380 -1.8415 1.0228 0.3381 0.2646 -0.4103
H -1.4120 -0.4258 0.4948 -0.0642 -0.3349 -0.3831
H -2.3164 -2.4842 -1.6734 0.1617 0.6108 0.2390
H -3.6101 -1.6679 -0.8083 0.5442 0.2509 -0.4068
H -0.9641 0.8604 -1.2042 0.0364 0.0168 0.2633
H -0.2810 -0.5693 -1.9951 -0.9368 -0.1440 -0.3513
H -1.4668 1.9914 -3.1974 0.2940 -0.4696 -0.0774
H -1.2528 0.5775 -4.2554 0.4318 0.0987 0.3124
H 1.0172 1.9679 -2.5706 -0.5712 0.1057 -0.4366
H 0.6257 2.3318 -4.2785 0.0945 0.1300 -0.0993
H 0.9475 -0.5803 -4.1253 0.7541 -0.1215 -0.3774
H 1.8246 0.6342 -5.1307 -0.0597 -0.2683 0.5884
H 3.4249 1.6774 -2.7631 1.5518 2.2580 1.0025
H 1.4671 -0.1213 -1.2069 0.4795 -0.2816 -0.3231
H 2.5101 -1.5344 -1.5520 -0.1180 0.3915 -0.2027
H 3.6261 -0.8698 0.4369 -0.2734 0.3848 -0.4250
H 4.4090 0.3756 -0.5325 -0.6292 -0.2011 -0.1050
H 2.0855 1.6805 -0.2756 0.4477 0.2255 0.6877
H 1.8232 0.6463 1.1354 0.4228 0.1748 -0.2808
H 6.0849 2.7311 2.7719 -0.4247 -0.0602 -0.4756
H 5.6132 2.9930 1.0394 -0.3428 -0.1562 0.6333
H 6.3378 0.2290 1.2044 0.3106 0.4037 0.2701
H 7.2144 1.5370 0.3858 -0.0076 -0.1545 0.5012
H 7.6412 1.1396 2.0930 -0.3918 -0.1453 -0.4070
H -6.0604 -0.0483 -1.0410 0.0508 0.6139 0.1107
H -6.2445 1.7112 -1.3687 0.0798 -0.2129 0.4811
H -7.7200 0.7118 0.4863 0.5356 0.2113 0.1822
H -6.2293 0.2977 1.4054 -0.2858 0.4779 -0.1070
H -6.8453 3.1873 0.3836 0.3061 -0.6415 1.2094
H -7.4716 2.6531 1.9801 0.6249 0.1509 -0.0689
H -5.6459 2.6892 1.6865 -0.5767 0.3371 -0.0784
O 2.8424 3.1917 -4.3643 -1.8245 -0.3532 -1.4081
P 3.0231 3.9458 -3.0400 0.1289 3.3659 -1.7836
O 1.5971 4.3623 -2.5685 -1.9036 -0.0872 -1.5792
O 3.8992 5.1705 -3.2499 -0.3004 -0.8259 0.6210
O 3.6997 3.0096 -2.0311 -0.0317 -2.6297 0.0451
Be -6.8958 4.2346 -1.1925 -0.0473 0.5022 -0.7010
Li -6.1554 0.8215 -5.3040 0.6013 -0.0896 0.7281
O -0.9078 1.8087 0.2460 -0.2314 -0.3574 -0.2220
H -0.0263 2.1904 0.2859 0.1222 0.2579 0.0659
O -7.8380 -2.2485 0.5025 -0.3027 0.6217 1.6190
V -8.1694 -1.8225 2.1302 0.0341 0.0023 0.3680
O -8.4838 -1.3565 3.7409 0.4146 -0.4898 -2.1229
C 3.4948 -4.8372 4.9309 0.3634 -0.7504 0.2675
C 2.4938 -3.6655 4.7342 -0.0526 -0.2644 0.3263
C 1.2035 -3.9792 5.5415 -0.5968 -0.3879 0.5350
O 2.1758 -3.6051 3.4526 0.2427 0.4150 -0.0210
H 3.0870 -5.7895 4.5886 -0.1397 0.1569 -0.0839
H 4.4240 -4.6514 4.3922 -0.1486 0.1728 -0.0844
>>>
# Request
Please find "1.0394 -0.3428" and "-0.8259 0.6210" in the calculation results further above, and write out these two lines and those between.
# Outcome
H 5.6132 2.9930 1.0394 -0.3428 -0.1562 0.6333
H 6.3378 0.2290 1.2044 0.3106 0.4037 0.2701
H 7.2144 1.5370 0.3858 -0.0076 -0.1545 0.5012
H 7.6412 1.1396 2.0930 -0.3918 -0.1453 -0.4070
H -6.0604 -0.0483 -1.0410 0.0508 0.6139 0.1107
H -6.2445 1.7112 -1.3687 0.0798 -0.2129 0.4811
H -7.7200 0.7118 0.4863 0.5356 0.2113 0.1822
H -6.2293 0.2977 1.4054 -0.2858 0.4779 -0.1070
H -6.8453 3.1873 0.3836 0.3061 -0.6415 1.2094
H -7.4716 2.6531 1.9801 0.6249 0.1509 -0.0689
H -5.6459 2.6892 1.6865 -0.5767 0.3371 -0.0784
O 2.8424 3.1917 -4.3643 -1.8245 -0.3532 -1.4081
P 3.0231 3.9458 -3.0400 0.1289 3.3659 -1.7836
O 1.5971 4.3623 -2.5685 -1.9036 -0.0872 -1.5792
O 3.8992 5.1705 -3.2499 -0.3004 -0.8259 0.6210